# Brief
Could you give back the whole of the rows further down exactly?

# Input
'''
1.
Diffraction record for SrMgNi4O8. The powder diffractogram is simulated, not measured: it uses a PBE+U-relaxed structure and CuKα.
Kinematic intensities with the Lorentz-polarization factor, no thermal factor.

Main lines, by angle (2θ from 10° to 90°):
2θ 16.6, I 900; 2θ 18.3, I 352; 2θ 33.5, I 296; 2θ 36.4, I 388; 2θ 41.5, I 1000; 2θ 41.9, I 480; 2θ 58.0, I 285; 2θ 62.8, I 257

Cell and atoms:
```
SrMgNi4O8
1.0
5.097 -3.008 0.000
5.097 3.008 0.000
-3.374 0.000 5.356
Sr Mg Ni O
1 1 4 8
Direct
0.000 0.000 0.000 Sr
0.500 0.500 0.000 Mg
0.000 0.000 0.500 Ni
0.000 0.500 0.500 Ni
0.500 0.000 0.500 Ni
0.500 0.500 0.500 Ni
0.235 0.705 0.704 O
0.242 0.242 0.691 O
0.267 0.267 0.326 O
0.295 0.765 0.296 O
0.705 0.235 0.704 O
0.733 0.733 0.674 O
0.758 0.758 0.309 O
0.765 0.295 0.296 O
```


2.
Diffraction record for Fe3O4F2. The powder diffractogram is simulated, not measured: it uses a PBE+U-relaxed structure and CuKα.
Kinematic intensities with the Lorentz-polarization factor, no thermal factor.

Main lines, by angle (2θ from 10° to 90°):
2θ 25.2, I 1000; 2θ 27.9, I 878; 2θ 35.2, I 902; 2θ 37.9, I 178; 2θ 39.3, I 164; 2θ 51.2, I 592; 2θ 54.2, I 486; 2θ 66.7, I 377

Cell and atoms:
```
Fe3O4F2
1.0
4.771 0.000 0.000
0.469 5.622 0.000
0.472 0.777 7.643
Fe O F
6 8 4
Direct
0.000 0.000 0.000 Fe
0.003 0.335 0.668 Fe
0.453 0.469 0.983 Fe
0.460 0.146 0.315 Fe
0.466 0.805 0.663 Fe
0.965 0.644 0.322 Fe
0.163 0.352 0.426 O
0.168 0.022 0.758 O
0.169 0.686 0.097 O
0.283 0.527 0.760 O
0.284 0.190 0.096 O
0.778 0.611 0.553 O
0.779 0.943 0.226 O
0.780 0.279 0.888 O
0.275 0.848 0.426 F
0.645 0.098 0.548 F
0.663 0.772 0.890 F
0.665 0.445 0.221 F
```


3.
Diffraction record for Li9Mn7O16. The powder diffractogram is simulated, not measured: it uses a PBE+U-relaxed structure and CuKα.
Kinematic intensities with the Lorentz-polarization factor, no thermal factor.

Main lines, by angle (2θ from 10° to 90°):
2θ 18.3, I 1000; 2θ 33.9, I 185; 2θ 36.1, I 236; 2θ 40.8, I 353; 2θ 44.0, I 279; 2θ 44.2, I 275; 2θ 61.3, I 170; 2θ 63.6, I 93

Cell and atoms:
```
Li9Mn7O16
1.0
5.107 0.000 0.000
-1.764 7.483 0.000
-1.348 -1.788 7.813
Li Mn O
9 7 16
Direct
0.000 0.000 0.000 Li
0.000 0.125 0.371 Li
0.000 0.500 0.500 Li
0.000 0.875 0.629 Li
0.004 0.384 0.115 Li
0.011 0.257 0.759 Li
0.500 0.500 0.000 Li
0.989 0.743 0.241 Li
0.996 0.616 0.885 Li
0.490 0.870 0.121 Mn
0.497 0.250 0.244 Mn
0.498 0.623 0.368 Mn
0.500 0.000 0.500 Mn
0.502 0.377 0.632 Mn
0.503 0.750 0.756 Mn
0.510 0.130 0.879 Mn
0.255 0.642 0.128 O
0.265 0.131 0.614 O
0.265 0.507 0.739 O
0.266 0.008 0.243 O
0.269 0.880 0.860 O
0.270 0.379 0.361 O
0.290 0.243 0.020 O
0.292 0.755 0.519 O
0.708 0.245 0.481 O
0.710 0.757 0.980 O
0.730 0.621 0.639 O
0.731 0.120 0.140 O
0.734 0.992 0.757 O
0.735 0.493 0.261 O
0.735 0.869 0.386 O
0.745 0.358 0.872 O
```


4.
Diffraction record for Li4Ni3SbO8. The powder diffractogram is simulated, not measured: it uses a PBE+U-relaxed structure and CuKα.
Kinematic intensities with the Lorentz-polarization factor, no thermal factor.

Main lines, by angle (2θ from 10° to 90°):
2θ 18.2, I 1000; 2θ 35.1, I 476; 2θ 36.7, I 197; 2θ 42.6, I 211; 2θ 42.8, I 419; 2θ 46.8, I 120; 2θ 61.9, I 122; 2θ 62.0, I 179

Cell and atoms:
```
Li4Ni3SbO8
1.0
5.988 0.000 0.000
2.990 5.194 0.000
2.992 1.704 9.759
Li Ni Sb O
8 6 2 16
Direct
0.239 0.255 0.254 Li
0.250 0.748 0.750 Li
0.253 0.748 0.249 Li
0.254 0.235 0.756 Li
0.746 0.765 0.244 Li
0.747 0.252 0.751 Li
0.750 0.252 0.250 Li
0.761 0.745 0.746 Li
0.000 0.000 0.000 Ni
0.000 0.000 0.500 Ni
0.000 0.500 0.500 Ni
0.500 0.000 0.000 Ni
0.500 0.500 0.000 Ni
0.500 0.500 0.500 Ni
0.000 0.500 0.000 Sb
0.500 0.000 0.500 Sb
0.119 0.623 0.118 O
0.120 0.140 0.117 O
0.125 0.641 0.607 O
0.140 0.121 0.617 O
0.355 0.878 0.892 O
0.358 0.378 0.882 O
0.379 0.358 0.383 O
0.379 0.880 0.382 O
0.621 0.120 0.618 O
0.621 0.642 0.617 O
0.642 0.622 0.118 O
0.645 0.122 0.108 O
0.860 0.879 0.383 O
0.875 0.359 0.393 O
0.880 0.860 0.883 O
0.881 0.377 0.882 O
```


5.
'''

# Here it is
1.
Diffraction record for SrMgNi4O8. The powder diffractogram is simulated, not measured: it uses a PBE+U-relaxed structure and CuKα.
Kinematic intensities with the Lorentz-polarization factor, no thermal factor.

Main lines, by angle (2θ from 10° to 90°):
2θ 16.6, I 900; 2θ 18.3, I 352; 2θ 33.5, I 296; 2θ 36.4, I 388; 2θ 41.5, I 1000; 2θ 41.9, I 480; 2θ 58.0, I 285; 2θ 62.8, I 257

Cell and atoms:
```
SrMgNi4O8
1.0
5.097 -3.008 0.000
5.097 3.008 0.000
-3.374 0.000 5.356
Sr Mg Ni O
1 1 4 8
Direct
0.000 0.000 0.000 Sr
0.500 0.500 0.000 Mg
0.000 0.000 0.500 Ni
0.000 0.500 0.500 Ni
0.500 0.000 0.500 Ni
0.500 0.500 0.500 Ni
0.235 0.705 0.704 O
0.242 0.242 0.691 O
0.267 0.267 0.326 O
0.295 0.765 0.296 O
0.705 0.235 0.704 O
0.733 0.733 0.674 O
0.758 0.758 0.309 O
0.765 0.295 0.296 O
```


2.
Diffraction record for Fe3O4F2. The powder diffractogram is simulated, not measured: it uses a PBE+U-relaxed structure and CuKα.
Kinematic intensities with the Lorentz-polarization factor, no thermal factor.

Main lines, by angle (2θ from 10° to 90°):
2θ 25.2, I 1000; 2θ 27.9, I 878; 2θ 35.2, I 902; 2θ 37.9, I 178; 2θ 39.3, I 164; 2θ 51.2, I 592; 2θ 54.2, I 486; 2θ 66.7, I 377

Cell and atoms:
```
Fe3O4F2
1.0
4.771 0.000 0.000
0.469 5.622 0.000
0.472 0.777 7.643
Fe O F
6 8 4
Direct
0.000 0.000 0.000 Fe
0.003 0.335 0.668 Fe
0.453 0.469 0.983 Fe
0.460 0.146 0.315 Fe
0.466 0.805 0.663 Fe
0.965 0.644 0.322 Fe
0.163 0.352 0.426 O
0.168 0.022 0.758 O
0.169 0.686 0.097 O
0.283 0.527 0.760 O
0.284 0.190 0.096 O
0.778 0.611 0.553 O
0.779 0.943 0.226 O
0.780 0.279 0.888 O
0.275 0.848 0.426 F
0.645 0.098 0.548 F
0.663 0.772 0.890 F
0.665 0.445 0.221 F
```


3.
Diffraction record for Li9Mn7O16. The powder diffractogram is simulated, not measured: it uses a PBE+U-relaxed structure and CuKα.
Kinematic intensities with the Lorentz-polarization factor, no thermal factor.

Main lines, by angle (2θ from 10° to 90°):
2θ 18.3, I 1000; 2θ 33.9, I 185; 2θ 36.1, I 236; 2θ 40.8, I 353; 2θ 44.0, I 279; 2θ 44.2, I 275; 2θ 61.3, I 170; 2θ 63.6, I 93

Cell and atoms:
```
Li9Mn7O16
1.0
5.107 0.000 0.000
-1.764 7.483 0.000
-1.348 -1.788 7.813
Li Mn O
9 7 16
Direct
0.000 0.000 0.000 Li
0.000 0.125 0.371 Li
0.000 0.500 0.500 Li
0.000 0.875 0.629 Li
0.004 0.384 0.115 Li
0.011 0.257 0.759 Li
0.500 0.500 0.000 Li
0.989 0.743 0.241 Li
0.996 0.616 0.885 Li
0.490 0.870 0.121 Mn
0.497 0.250 0.244 Mn
0.498 0.623 0.368 Mn
0.500 0.000 0.500 Mn
0.502 0.377 0.632 Mn
0.503 0.750 0.756 Mn
0.510 0.130 0.879 Mn
0.255 0.642 0.128 O
0.265 0.131 0.614 O
0.265 0.507 0.739 O
0.266 0.008 0.243 O
0.269 0.880 0.860 O
0.270 0.379 0.361 O
0.290 0.243 0.020 O
0.292 0.755 0.519 O
0.708 0.245 0.481 O
0.710 0.757 0.980 O
0.730 0.621 0.639 O
0.731 0.120 0.140 O
0.734 0.992 0.757 O
0.735 0.493 0.261 O
0.735 0.869 0.386 O
0.745 0.358 0.872 O
```


4.
Diffraction record for Li4Ni3SbO8. The powder diffractogram is simulated, not measured: it uses a PBE+U-relaxed structure and CuKα.
Kinematic intensities with the Lorentz-polarization factor, no thermal factor.

Main lines, by angle (2θ from 10° to 90°):
2θ 18.2, I 1000; 2θ 35.1, I 476; 2θ 36.7, I 197; 2θ 42.6, I 211; 2θ 42.8, I 419; 2θ 46.8, I 120; 2θ 61.9, I 122; 2θ 62.0, I 179

Cell and atoms:
```
Li4Ni3SbO8
1.0
5.988 0.000 0.000
2.990 5.194 0.000
2.992 1.704 9.759
Li Ni Sb O
8 6 2 16
Direct
0.239 0.255 0.254 Li
0.250 0.748 0.750 Li
0.253 0.748 0.249 Li
0.254 0.235 0.756 Li
0.746 0.765 0.244 Li
0.747 0.252 0.751 Li
0.750 0.252 0.250 Li
0.761 0.745 0.746 Li
0.000 0.000 0.000 Ni
0.000 0.000 0.500 Ni
0.000 0.500 0.500 Ni
0.500 0.000 0.000 Ni
0.500 0.500 0.000 Ni
0.500 0.500 0.500 Ni
0.000 0.500 0.000 Sb
0.500 0.000 0.500 Sb
0.119 0.623 0.118 O
0.120 0.140 0.117 O
0.125 0.641 0.607 O
0.140 0.121 0.617 O
0.355 0.878 0.892 O
0.358 0.378 0.882 O
0.379 0.358 0.383 O
0.379 0.880 0.382 O
0.621 0.120 0.618 O
0.621 0.642 0.617 O
0.642 0.622 0.118 O
0.645 0.122 0.108 O
0.860 0.879 0.383 O
0.875 0.359 0.393 O
0.880 0.860 0.883 O
0.881 0.377 0.882 O
```


5.